_What to do_
Set down only the lines further below with the word "As" in them.
_File_
<<<
Entry from the Materials Project database: crystalline Na2MgV2Cd2O8 at its relaxed geometry (PBE+U).

a b c (Å): 6.0828 6.0828 6.8806
angles (deg): 90.00 90.00 119.85
With the nearest neighbours (Å) after each atom.
Fractional positions:
Na (0.5570, 0.4430, 0.9680)  5 O 2.31-2.56
Na (0.5570, 0.4430, 0.5320)  5 O 2.31-2.56
Mg (0.3634, 0.6366, 0.2500)  4 O 1.97-1.98
V (0.8834, 0.1166, 0.7500)  4 O 1.74-1.77
V (0.0941, 0.9059, 0.2500)  4 O 1.93-1.94
Cd (0.1942, 0.8058, 0.7500)  2 O 2.11
Cd (0.8228, 0.1772, 0.2500)  4 O 2.14-2.32
O (0.7294, 0.7578, 0.2500)  1 V 1.93, 1 Mg 1.97
O (0.2422, 0.2706, 0.2500)  1 V 1.93, 1 Mg 1.97
O (0.2260, 0.7740, 0.4476)  1 V 1.94, 1 Mg 1.98, 1 Cd 2.11
O (0.2260, 0.7740, 0.0524)  1 V 1.94, 1 Mg 1.98, 1 Cd 2.11
O (0.7764, 0.2236, 0.5522)  1 V 1.77
O (0.7764, 0.2236, 0.9478)  1 V 1.77
O (0.2103, 0.2420, 0.7500)  1 V 1.74
O (0.7580, 0.7897, 0.7500)  1 V 1.74

## Properties
energy of formation	-2.0255	eV/atom
volume	14.72	A^3/atom

~~~~~

Entry 1:
The following is a PBE with a Hubbard U calculation of a relaxed FeSi2O6 crystal, from the Materials Project database.

abc: 5.113 10.761 18.832
angles: 90.00 90.00 90.00
Sites, in units of the cell vectors:
O: 0.194 0.456 0.322
O: 0.871 0.638 0.807
O: 0.733 0.358 0.557
O: 0.671 0.780 0.703
O: 0.806 0.544 0.678
O: 0.733 0.858 0.943
O: 0.330 0.046 0.927
O: 0.171 0.220 0.797
O: 0.170 0.046 0.427
O: 0.965 0.717 0.547
O: 0.829 0.280 0.297
O: 0.329 0.720 0.203
O: 0.535 0.717 0.047
O: 0.035 0.283 0.453
O: 0.694 0.044 0.322
O: 0.233 0.642 0.943
O: 0.767 0.358 0.057
O: 0.330 0.546 0.573
O: 0.306 0.956 0.678
O: 0.267 0.642 0.443
O: 0.306 0.456 0.822
O: 0.194 0.956 0.178
O: 0.830 0.954 0.573
O: 0.465 0.783 0.547
O: 0.671 0.280 0.797
O: 0.233 0.142 0.557
O: 0.171 0.720 0.703
O: 0.129 0.362 0.193
O: 0.767 0.858 0.443
O: 0.694 0.544 0.178
O: 0.806 0.044 0.822
O: 0.129 0.862 0.307
O: 0.465 0.283 0.953
O: 0.371 0.862 0.807
O: 0.035 0.783 0.047
O: 0.267 0.142 0.057
O: 0.670 0.954 0.073
O: 0.670 0.454 0.427
O: 0.329 0.220 0.297
O: 0.170 0.546 0.073
O: 0.871 0.138 0.693
O: 0.535 0.217 0.453
O: 0.629 0.638 0.307
O: 0.965 0.217 0.953
O: 0.829 0.780 0.203
O: 0.629 0.138 0.193
O: 0.830 0.454 0.927
O: 0.371 0.362 0.693
Fe: 0.937 0.951 0.374
Fe: 0.063 0.549 0.874
Fe: 0.563 0.451 0.626
Fe: 0.563 0.951 0.874
Fe: 0.937 0.451 0.126
Fe: 0.063 0.049 0.626
Fe: 0.437 0.549 0.374
Fe: 0.437 0.049 0.126
Si: 0.262 0.170 0.972
Si: 0.877 0.168 0.778
Si: 0.238 0.170 0.472
Si: 0.623 0.668 0.222
Si: 0.738 0.830 0.028
Si: 0.123 0.332 0.278
Si: 0.377 0.332 0.778
Si: 0.877 0.668 0.722
Si: 0.377 0.832 0.722
Si: 0.738 0.330 0.472
Si: 0.262 0.670 0.528
Si: 0.238 0.670 0.028
Si: 0.623 0.168 0.278
Si: 0.123 0.832 0.222
Si: 0.762 0.830 0.528
Si: 0.762 0.330 0.972

Properties
The magnetization is 4.0 μB per formula unit. As for the energy above the most stable polymorph in this dataset: 93 meV per atom.



Entry 2:
The following is a PBE with a Hubbard U calculation of a relaxed Ca3Fe2Si4O14 crystal, from the Materials Project database.

abc: 9.444 9.444 10.178
angles: 59.13 59.13 48.48
Sites, in units of the cell vectors:
O: 0.672 0.658 0.409
O: 0.541 0.353 0.690
O: 0.709 0.124 0.497
O: 0.106 0.530 0.819
O: 0.353 0.541 0.190
O: 0.470 0.894 0.681
O: 0.949 0.498 0.683
O: 0.929 0.267 0.495
O: 0.459 0.647 0.310
O: 0.894 0.470 0.181
O: 0.733 0.071 0.005
O: 0.124 0.709 0.997
O: 0.328 0.342 0.591
O: 0.106 0.037 0.275
O: 0.071 0.733 0.505
O: 0.267 0.929 0.995
O: 0.876 0.291 0.003
O: 0.498 0.949 0.183
O: 0.530 0.106 0.319
O: 0.291 0.876 0.503
O: 0.894 0.963 0.725
O: 0.963 0.894 0.225
O: 0.658 0.672 0.909
O: 0.342 0.328 0.091
O: 0.647 0.459 0.810
O: 0.502 0.051 0.817
O: 0.037 0.106 0.775
O: 0.051 0.502 0.317
Ca: 0.838 0.766 0.960
Ca: 0.766 0.838 0.460
Ca: 0.653 0.347 0.250
Ca: 0.234 0.162 0.540
Ca: 0.162 0.234 0.040
Ca: 0.347 0.653 0.750
Fe: 0.000 0.000 0.000
Fe: 0.000 0.000 0.500
Fe: 0.792 0.208 0.750
Fe: 0.208 0.792 0.250
Si: 0.466 0.885 0.846
Si: 0.885 0.466 0.346
Si: 0.784 0.468 0.853
Si: 0.115 0.534 0.654
>>>
_Outcome_
The magnetization is 4.0 μB per formula unit. As for the energy above the most stable polymorph in this dataset: 93 meV per atom.